### Brief
Say how many lines of the material underneath hold the word "gap", as a bare number, please.

### Excerpt
=====
# C5H12NO

The ion C5H12NO with charge -1 in a non-equilibrium geometry (ωB97M-V/def2-TZVPD, OMol25).

Cartesian coordinates (Å):
1 C -1.04271 -0.02621 1.68800
2 C -0.13739 0.09974 0.51632
3 C -0.43360 -0.40561 -0.98412
4 C -1.81143 0.03415 -1.60902
5 N 1.26467 -0.37441 0.83812
6 C 2.44240 0.14026 -0.09337
7 O 2.44543 -0.17171 -1.36116
8 H -0.73277 0.63185 2.48932
9 H -1.04665 -1.02581 1.98823
10 H -2.05930 0.11925 1.40053
11 H -0.02147 1.20514 0.21916
12 H 0.08509 -1.44279 -0.92891
13 H 0.24616 0.18708 -1.58581
14 H -1.81566 1.07988 -1.90738
15 H -2.03081 -0.47266 -2.47747
16 H -2.65072 -0.04222 -0.92207
17 H 1.49798 -0.36617 1.80251
18 H 3.26693 -0.38221 0.57187
19 H 2.53385 1.21244 0.35525

Values from the calculation:
SMILES string	CC[C@@H](C)NC[O-]
total charge	-1
gap between HOMO and LUMO	0.234	hartree
energy above the lowest of the compared OMol25 structures with the same formula, charge and spin	182.34	kJ/mol

Here are the natural (NBO) charges for atoms 1 to 5, given in e: C -0.6238; C -0.0389; C -0.4488; C -0.6129; N -0.7299

# C5H12NO

A structure of composition C5H12NO in a non-equilibrium geometry (ωB97M-V/def2-TZVPD, OMol25).

Cartesian coordinates (Å):
1 C 0.97215 -1.35194 -1.44369
2 O 0.74880 -2.73700 -0.33075
3 C 0.52932 -0.08370 -0.68575
4 C -0.91277 -0.20178 -0.18626
5 C -1.27501 0.94491 0.73820
6 C -0.37981 1.01395 1.96502
7 N 0.89444 1.34067 -0.79200
8 H 1.77303 -1.11153 -2.14643
9 H 0.14711 -1.77774 -2.05107
10 H 1.16872 0.02459 0.09482
11 H -1.56204 -0.22715 -1.08249
12 H -1.12356 -1.19535 0.29193
13 H -1.19567 1.89985 0.15999
14 H -2.33813 0.90222 1.03591
15 H -0.67375 1.83282 2.66508
16 H -0.31125 0.05277 2.49831
17 H 0.61914 1.16941 1.60161
18 H 1.55894 -1.99143 -0.64666
19 H 1.36033 1.49643 -1.68577

Values from the calculation:
total charge	-1
gap between HOMO and LUMO	0.207	hartree
energy above the lowest of the compared OMol25 structures with the same formula, charge and spin	611.02	kJ/mol

Here are the natural (NBO) charges for atoms 1 to 5, given in e: C -0.3263; O -0.7063; C -0.1648; C -0.4090; C -0.4031

# C5H12NO

The ion C5H12NO with charge -1 in a non-equilibrium geometry (ωB97M-V/def2-TZVPD, OMol25).

Cartesian coordinates (Å):
1 C -1.82931 -1.28263 0.00210
2 C -0.73792 -0.90051 -0.97476
3 N 0.40449 -0.26160 -0.29721
4 C 1.42512 0.19112 -1.22618
5 C 0.03634 0.96981 0.52169
6 C 0.88080 0.95586 1.88712
7 O 2.12139 0.46267 1.77306
8 H -1.65679 -2.26720 0.46380
9 H -2.00097 -0.62701 0.83953
10 H -2.69743 -1.35484 -0.66976
11 H -1.10467 -0.21061 -1.74878
12 H -0.36158 -1.68533 -1.64265
13 H 2.12264 0.75027 -0.60265
14 H 1.95857 -0.65286 -1.66229
15 H 1.03198 0.76941 -2.09465
16 H -1.01760 1.02649 0.80406
17 H 0.35901 1.80188 -0.10734
18 H 0.80127 2.02852 2.19635
19 H 0.26467 0.28655 2.53857

Values from the calculation:
SMILES string	CCN(C)CC[O-]
total charge	-1
gap between HOMO and LUMO	0.225	hartree
energy above the lowest of the compared OMol25 structures with the same formula, charge and spin	147.21	kJ/mol

Here are the natural (NBO) charges for atoms 1 to 5, given in e: C -0.6170; C -0.2085; N -0.4230; C -0.4325; C -0.2859

# C5H12NO

A cluster of 2 separate species, C5H12NO in total in a non-equilibrium geometry (ωB97M-V/def2-TZVPD, OMol25).

Cartesian coordinates (Å):
1 C -1.14407 1.82156 1.15194
2 O -2.16708 1.58840 1.95878
3 C -1.22662 0.80168 -0.28857
4 C 0.25083 0.49168 -0.85846
5 C 0.37301 -0.93562 -1.34622
6 C 0.70721 -1.96198 -0.19373
7 N 1.88544 -1.43271 0.39674
8 H -0.86169 2.87331 0.85481
9 H -0.10914 1.26411 1.62973
10 H -1.78464 0.01971 0.26322
11 H -1.74164 1.39544 -1.12244
12 H 0.58882 1.33688 -1.57004
13 H 0.85724 0.68759 0.02797
14 H 1.41592 -1.03018 -1.73592
15 H -0.21884 -1.22114 -2.26466
16 H -0.11335 -1.89586 0.56884
17 H 0.72363 -2.96521 -0.81827
18 H 0.55338 1.13248 2.15738
19 H 2.01158 -1.97013 1.18890

Values from the calculation:
2S+1	2
total charge	-2
gap between HOMO and LUMO (spin up / spin down)	0.180 / 0.200	hartree
=====

### Completed
4